• Activity:
Retype everything below unchanged.

• Entries:
=====
The molecule C13H18N2O2S. Source: the OMol25 dataset; level of theory: the ωB97M-V functional and the def2-TZVPD basis.

## Properties
HOMO-LUMO gap = 8.386 eV
Lowest unoccupied orbital energy = 0.6 eV
HOMO level = -7.76 eV
E_tot = -1164.32621 hartree
Relative energy (zero: lowest compared OMol25 entry of this formula, charge and spin) = 34.7 kcal per mole

CARTESIAN COORDINATES (ANGSTROEM)
S (2.024, 1.604, 1.950)
O (-4.061, -0.066, 2.901)
O (0.265, 1.005, -2.266)
C (1.923, 0.934, 0.455)
C (-1.655, -0.491, 2.566)
C (-2.895, 0.747, 0.989)
C (-0.483, -0.415, 1.803)
C (-1.722, 0.900, 0.243)
C (-2.883, 0.042, 2.178)
C (-0.453, 0.362, 0.652)
N (3.162, 0.873, -0.192)
N (0.725, 0.455, -0.118)
C (-3.943, -0.459, 4.275)
C (-0.220, -1.229, -1.707)
C (2.343, -0.624, -3.530)
C (3.218, 0.656, -1.649)
C (0.743, -0.055, -1.518)
C (2.169, -0.445, -2.017)
H (0.816, 1.780, -2.064)
H (-1.581, -1.048, 3.505)
H (-3.774, 1.197, 0.571)
H (0.433, -0.947, 2.115)
H (-1.741, 1.514, -0.671)
H (3.889, 1.503, 0.183)
H (-4.964, -0.494, 4.705)
H (-3.464, -1.414, 4.370)
H (-3.359, 0.273, 4.886)
H (-0.193, -1.689, -2.728)
H (-0.018, -2.062, -1.005)
H (-1.231, -0.876, -1.595)
H (3.343, -1.027, -3.703)
H (1.621, -1.336, -3.864)
H (2.256, 0.320, -4.098)
H (3.024, 1.598, -2.187)
H (4.256, 0.298, -1.926)
H (2.431, -1.382, -1.509)
=====

• Here it is:
The molecule C13H18N2O2S. Source: the OMol25 dataset; level of theory: the ωB97M-V functional and the def2-TZVPD basis.

## Properties
HOMO-LUMO gap = 8.386 eV
Lowest unoccupied orbital energy = 0.6 eV
HOMO level = -7.76 eV
E_tot = -1164.32621 hartree
Relative energy (zero: lowest compared OMol25 entry of this formula, charge and spin) = 34.7 kcal per mole

CARTESIAN COORDINATES (ANGSTROEM)
S (2.024, 1.604, 1.950)
O (-4.061, -0.066, 2.901)
O (0.265, 1.005, -2.266)
C (1.923, 0.934, 0.455)
C (-1.655, -0.491, 2.566)
C (-2.895, 0.747, 0.989)
C (-0.483, -0.415, 1.803)
C (-1.722, 0.900, 0.243)
C (-2.883, 0.042, 2.178)
C (-0.453, 0.362, 0.652)
N (3.162, 0.873, -0.192)
N (0.725, 0.455, -0.118)
C (-3.943, -0.459, 4.275)
C (-0.220, -1.229, -1.707)
C (2.343, -0.624, -3.530)
C (3.218, 0.656, -1.649)
C (0.743, -0.055, -1.518)
C (2.169, -0.445, -2.017)
H (0.816, 1.780, -2.064)
H (-1.581, -1.048, 3.505)
H (-3.774, 1.197, 0.571)
H (0.433, -0.947, 2.115)
H (-1.741, 1.514, -0.671)
H (3.889, 1.503, 0.183)
H (-4.964, -0.494, 4.705)
H (-3.464, -1.414, 4.370)
H (-3.359, 0.273, 4.886)
H (-0.193, -1.689, -2.728)
H (-0.018, -2.062, -1.005)
H (-1.231, -0.876, -1.595)
H (3.343, -1.027, -3.703)
H (1.621, -1.336, -3.864)
H (2.256, 0.320, -4.098)
H (3.024, 1.598, -2.187)
H (4.256, 0.298, -1.926)
H (2.431, -1.382, -1.509)